Learning, shopping, communities, travel, and entertainment: coming out of COVID, which changes were temporary and which are permanent?
Five sectors of human life have been changed permanently by the pandemic. Center Director Jeffrey Cole digs into what’s different forever.
By Jeffrey Cole
As millions of Americans celebrated Independence Day by pouring onto to airplanes and heading to beaches, parks, sporting events, and concerts, we also celebrated independence from the COVID pandemic.
This pandemic is over — whether it really is or not. It doesn’t matter what science or common sense say, even as cases and hospitalizations are climbing again.
We need COVID to be over.
At the Center, we believe this is a once-in-a-lifetime disruption (hopefully something worse doesn’t come along). First graders many years in the future will regale their grandchildren with stories of scrubbing mail, wearing masks, and quarantining at home for months at a time.
Two months into the pandemic, we launched the COVID Reset Project that tracks seven sectors of life to understand how they may or may not permanently change.
The seven areas are:
- Health and well-being (mental and physical)
- Learning
- Shopping and banking
- Homes and communities
- Work
- Travel
- Entertainment.
After two years of tracking, we can see that five of the seven sectors have clarified. We have a clear picture for at least the next few years of what changed and how permanent that change will be.
Those five sectors are:
1. Learning
No one was ready for the complete shift of learning from the classroom to a screen at home. Millions had to buy new equipment (cameras, lights, microphones) and acquire or upgrade up their broadband. Others were not able to participate, frozen out of learning. “Zoom School” was adequate for some students, but even if they could learn what they needed (a questionable proposition), they were denied social interaction. I used to tell my college students that only 10% of what they learned in college came from the classroom.
Most students felt they could not learn nearly as well outside of the classroom.
For the first time, students were clamoring to be back in school. Now that they are, there will be remote learning around the edges for occasional electives or summer classes. But the lesson was “learned” and learning has moved back to the classroom. That is where students, teachers and parents want it to be.
2. Shopping and banking
Amazon has always felt like a lifeline, but it became a literal lifeline during COVID. Of those who never bought online before 2020, within a month 40% were doing so. The rest of us started buying things we had never bought online before, especially food, whether from supermarkets or delivered from restaurants. Toilet paper, cleaning supplies and other household staples were purchased by many through the internet for the first time.
As we got somewhat comfortable leaving the home again (most wearing masks), we flocked to shopping malls. We wanted to be with other shoppers (although not too close), to touch products, and to talk to salespeople. But we bought online. The gains of electronic commerce were solidified and have not been given back. On the money side, we were forced to give up using cash, but we came to like not going to the bank and found contactless pickup or delivery convenient. The transition to a cashless society made enormous progress during COVID. It will never reverse.
3. Homes and Communities
Even though locked down in our homes, we didn’t use that as an opportunity to get to know and rely on our neighbors. Going into COVID, only 22% of us knew our neighbors well. Despite our neighbors being the only outsiders we could see in-person, socially distanced as we got our mail or deliveries, and took out the trash, only 24% want to know our neighbors well. A lost opportunity.
Many in urban centers, living close to other people, left (if they could) for more rural or suburban areas. That migration has now reversed. During the early days, many of us repaired our homes, or changed the features that we could do ourselves. Now, contractor’s workbooks are full of requests from those who want to add rooms or change the design of their home. Some are moving, but the numbers are consistent with the past. Our communities have remained stable.
At the Center, we believe this is a once-in-a-lifetime disruption (hopefully something worse doesn’t come along). First graders many years in the future will regale their grandchildren with stories of scrubbing mail, wearing masks, and quarantining at home for months at a time. Two months into the pandemic, we launched the COVID Reset Project that tracks seven sectors of life to understand how they may or may not permanently change.
4. Travel
This is one of the sectors that saw enormous change that we see as permanent. The change signifies both exceptionally good and unwelcome news for the travel industry. Leisure travel is exploding, surpassing levels ever seen, even before COVID. We have been stuck in the same place looking at the same four walls for over two years. We want out! We will go anywhere and everywhere.
_These records of crystals were left in the entry by mistake_
=====
LiTiO4F3 | GGA-PBE | optimized geometry

Output
VASP energy: -5.880 eV/atom
Total magnetic moment: 2.00 μB/f.u.
Space-group type: No. 63

Lattice parameters (Å, degrees): 6.0434 6.0434 7.3644 90.00 90.00 94.74
Positions (direct):
Li 0.7917 0.7917 0.2500
Li 0.2083 0.2083 0.7500
Ti 0.2528 0.2528 0.2500
Ti 0.7472 0.7472 0.7500
O 0.9595 0.4989 0.7500
O 0.5011 0.0405 0.2500
O 0.7495 0.4107 0.7500
O 0.5893 0.2505 0.2500
O 0.4107 0.7495 0.7500
O 0.2505 0.5893 0.2500
O 0.4989 0.9595 0.7500
O 0.0405 0.5011 0.2500
F 0.0233 0.0233 0.2500
F 0.2717 0.2717 0.5032
F 0.2717 0.2717 0.9968
F 0.7283 0.7283 0.4968
F 0.7283 0.7283 0.0032
F 0.9767 0.9767 0.7500



LiPF6 | GGA-PBE | optimized geometry

Output
VASP energy: -5.044 eV/atom
Space-group type: No. 148

Lattice parameters (Å, degrees): 5.1742 5.1742 5.1742 58.06 58.06 58.06
Positions (direct):
Li 0.5000 0.5000 0.5000
P 0.0000 0.0000 0.0000
F 0.7833 0.3061 0.1310
F 0.3061 0.1310 0.7833
F 0.1310 0.7833 0.3061
F 0.6939 0.8690 0.2167
F 0.8690 0.2167 0.6939
F 0.2167 0.6939 0.8690



Rb2LiPdF6 | GGA-PBE | optimized geometry

Output
VASP energy: -4.280 eV/atom
Total magnetic moment: 1.00 μB/f.u.
Space-group type: No. 225

Lattice parameters (Å, degrees): 5.9748 5.9748 5.9748 60.00 60.00 60.00
Positions (direct):
Rb 0.2500 0.2500 0.2500
Rb 0.7500 0.7500 0.7500
Li 0.5000 0.5000 0.5000
Pd 0.0000 0.0000 0.0000
F 0.2457 0.7543 0.2457
F 0.7543 0.7543 0.2457
F 0.7543 0.2457 0.7543
F 0.7543 0.2457 0.2457
F 0.2457 0.7543 0.7543
F 0.2457 0.2457 0.7543



Rb2LiPrF6 | GGA-PBE | optimized geometry

Output
VASP energy: -5.251 eV/atom
Total magnetic moment: 0.00 μB/f.u.
Space-group type: No. 225

Lattice parameters (Å, degrees): 6.2958 6.2958 6.2958 60.00 60.00 60.00
Positions (direct):
Rb 0.7500 0.7500 0.7500
Rb 0.2500 0.2500 0.2500
Li 0.5000 0.5000 0.5000
Pr 0.0000 0.0000 0.0000
F 0.7414 0.2586 0.2586
F 0.2586 0.2586 0.7414
F 0.2586 0.7414 0.7414
F 0.2586 0.7414 0.2586
F 0.7414 0.2586 0.7414
F 0.7414 0.7414 0.2586



Li3PtF6 | GGA-PBE | optimized geometry

Output
VASP energy: -4.061 eV/atom
Total magnetic moment: 1.00 μB/f.u.
Space-group type: No. 2

Lattice parameters (Å, degrees): 7.5055 7.0515 11.4905 77.53 91.36 122.55
Positions (direct):
Li 0.0000 0.0000 0.5000
Li 0.5000 0.5000 0.0000
Li 0.0000 0.5000 0.0000
Pt 0.0000 0.0000 0.0000
F 0.9834 0.2759 0.9459
F 0.0166 0.7241 0.0541
F 0.9322 0.9425 0.6546
F 0.0678 0.0575 0.3454
F 0.6999 0.7937 0.9779
F 0.3001 0.2063 0.0221



Li2PtF6 | GGA-PBE | optimized geometry

Output
VASP energy: -4.484 eV/atom
Space-group type: No. 136

Lattice parameters (Å, degrees): 4.7355 4.7355 9.3261 90.00 90.00 90.00
Positions (direct):
Li 0.0000 0.0000 0.3365
Li 0.5000 0.5000 0.8365
Li 0.0000 0.0000 0.6635
Li 0.5000 0.5000 0.1635
Pt 0.5000 0.5000 0.5000
Pt 0.0000 0.0000 0.0000
F 0.3077 0.6923 0.6608
F 0.1923 0.1923 0.8392
F 0.7049 0.2951 0.0000
F 0.7951 0.7951 0.5000
F 0.2951 0.7049 0.0000
F 0.2049 0.2049 0.5000
F 0.1923 0.1923 0.1608
F 0.3077 0.6923 0.3392
F 0.8077 0.8077 0.8392
=====
Airfares and hotel room rates have soared, some as much as 400% higher than before 2020. It doesn’t matter. Many of us accumulated money we saved by not traveling or going to restaurants or concerts during COVID. We have enough cash on hand and pent-up travel lust to last at least through the summer. Then perhaps demand will drop and prices along with it. But, as more of us work from home to at least some degree (2 days a week?) our need to get out and be in other places will remain high. Leisure travel is reaping the benefits.
On the other hand, business travel is suffering. Zoom made business meetings and maintaining professional relationships possible. Some of us complained it didn’t feel like the real thing, but others were fully satisfied. It became routine for me to speak in London, Melbourne, and Chicago in the same day without leaving my home office. The bar to justify business travel has been raised. Travel managers will scrutinize every request to distinguish which meetings workers need to be at and which they just want to attend. Our projection is that one-third of business travel will never return.
5. Entertainment
Within a week of March 15, 2020, almost every movie theater, sporting event, concert, and theme park closed for at least a year. This was unprecedented. Being at home with so much time, we all moved to television, especially streaming. Netflix, with its miles-wide and deep catalog of programming, was ready for the pandemic. Apple TV+ and Disney+, which premiered just a few months before COVID, were not ready. They quickly diverted movies intended for the theater to streaming. It worked. Streaming was up 72%. Those gains have held even as we left the home.
For years, studios wanted to narrow the 90-day window between when a film appears in the theater and is available on home video. They also wanted to test Day & Date to premiere a film on streaming the same day it opened in a theater. Theater owners, happy with the current system (there were 9 $1 billion films in 2019—a record) wanted no part of experimentation: they had no idea how it would turn out. Any time a studio floated the idea of an experiment, theater owners threatened boycotts or other punitive actions.
They shouldn’t have worried so much. With theaters closed and several chains on the brink of bankruptcy, studios could do whatever they wanted. They had films that were ready to go and no place to show them. Theater owner objections didn’t matter. The experiments premiering on streaming began.
Some films went directly to streaming services as part of the monthly subscription (Hamilton, Soul, Greyhound). Others were attached to streamers with a $30 extra charge (Mulan). Warner jumped fully into Day and Date by premiering all their 2021 films (Dune, Matrix, In the Heights) on HBO Max the same day they opened in theaters.
After a year and a half of experimenting, the lessons were clear: audiences want to see big films in the theater. Paramount’s decision to not release Top Gun: Maverick until theaters were fully open proved a master stroke. Blockbusters have returned to the theater. Studios abandoned Day and Date (but now have 45-day windows). Streaming has retained its gains, but the big winner is the movie theaters. They should have let the experiments run their course years ago, but they could never be sure they would prevail. They did.
These are the five of the seven sectors we tracked that now have ribbons around them: we know what changed and which changes will remain.
There are two sectors that are still in disarray and are completely unsorted in the middle of 2022: work and health/well-being. I’ll take a deep dive into those two sectors — and how they are likely to change — in my next column.
Jeffrey Cole is the founder and director of The Center for the Digital Future at USC Annenberg.
See all columns from the center.
July 6, 2022